Accurate Commercial Property Valuation: What Does it Entail in Miami, FL?

Accurate Commercial Property Valuation: What Does it Entail in Miami, FL?

Next to the piece, the page also holds quantum chemistry results.
********
No. 1
{
  "formula": "C5H8O2S",
  "method": "ωB97M-V/def2-TZVPD",
  "species": ["C", "C", "C", "O", "C", "O", "C", "S", "H", "H", "H", "H", "H", "H", "H", "H"],
  "xyz": [[1.955491, -0.831885, -1.075636], [1.631796, 0.078669, -0.184724], [0.559798, -0.056130, 0.937075], [0.109608, -1.396254, 0.860536], [-0.593497, 1.022353, 0.842080], [-1.126814, 1.042745, -0.505632], [-2.171013, 0.333318, -0.815859], [-2.969370, -0.827593, -0.020915], [2.676541, -0.550789, -1.844672], [1.462722, -1.796619, -1.029756], [2.204568, 1.015999, -0.160101], [0.946907, 0.060747, 1.969721], [-0.606615, -1.418170, 0.186284], [-1.419471, 0.751338, 1.614837], [-0.214145, 2.034582, 1.054164], [-2.446512, 0.537696, -1.827396]],
  "forces_ev_per_a": [[-0.2292, -0.0248, -0.1637], [-0.1058, 1.7563, 1.7485], [0.2053, -0.1316, -0.7547], [-1.2369, 0.2908, -0.1933], [-0.2046, -1.4400, 1.0919], [0.5018, 0.8216, 0.9097], [-0.3339, -0.8251, -0.3437], [-0.1799, 0.0098, 0.4263], [-0.1254, -0.5129, 0.2215], [0.2203, -0.0119, -0.3796], [-0.3676, -0.1306, -0.1836], [0.2816, 0.0646, -0.6414], [0.5253, -0.2342, 0.7195], [1.3277, 0.4205, -1.4698], [-0.0998, -0.4488, -0.2959], [-0.1788, 0.3963, -0.6916]],
  "spin_multiplicity": 1,
  "smiles": "C=C[C@H](O)COC=S",
  "energy_ha": -743.91642,
  "de_lowest_kj_mol": 186.4,
  "homo_lumo_gap_ev": 9.5
}

---

No. 2
{
  "formula": "C20H21BrIN9S2Tl",
  "method": "ωB97M-V/def2-TZVPD",
  "species": ["Tl", "C", "C", "N", "C", "C", "S", "C", "C", "S", "C", "N", "C", "H", "H", "H", "H", "H", "H", "H", "H", "Br", "C", "C", "C", "C", "C", "C", "I", "H", "H", "H", "H", "N", "C", "N", "N", "C", "N", "H", "H", "H", "H", "N", "C", "C", "N", "C", "C", "N", "H", "H", "H", "H", "H"],
********

Whether you've got your eye on a commercial property, already own one, or you're looking to sell one, commercial property valuation is a vital step in any of these processes.

Its purpose is quite simple - it tells you exactly what a commercial property is worth and why. This is a critical step in knowing whether purchasing, selling, or holding onto a property is worth your while.

But what does commercial valuation actually involve? Find out more in this blog.

Commercial Property Valuation: Covering the Basics

Between two parts of the page: records of molecules =
Entry from OMol25: C5H11N2S as an isolated structure in a non-equilibrium geometry (the ωB97M-V functional and the def2-TZVPD basis).

Calculated values
2S+1 = 1
HOMO level = -12.42 eV
Charge = +1
Gap between HOMO and LUMO = 8.96 eV
E_tot = -19169.69783 eV

Geometry (Å):
1 C 0.23207 0.69418 1.44146
2 C -1.51143 -0.92324 0.73650
3 C 0.40786 0.11703 -0.41987
4 C 1.52253 -0.91055 -0.45132
5 C 0.62473 1.36217 -1.21687
6 N -0.85515 -0.07522 1.78768
7 N -1.12318 -0.35063 -0.57109
8 S 1.05240 1.83260 2.14404
9 H -1.14633 -2.04012 0.71994
10 H -2.64497 -0.96077 1.00916
11 H 1.37783 -1.79472 -0.98982
12 H 1.78519 -1.29820 0.62919
13 H 2.39163 -0.35965 -0.81712
14 H 1.48065 1.11167 -1.85655
15 H 0.80317 2.41731 -0.66498
16 H -0.24030 1.46404 -1.84191
17 H -1.41820 0.04218 2.61413
18 H -1.11874 -0.92586 -1.43087
19 H -1.61975 0.59778 -0.82171

Entry from OMol25: an isolated molecule of C14H22ClF2O9PS2 in a non-equilibrium geometry (the ωB97M-V functional and the def2-TZVPD basis).

Calculated values
2S+1 = 1
HOMO level = -9.04 eV
Gap between HOMO and LUMO = 8.93 eV
E_tot = -82217.59882 eV

Geometry (Å):
1 C -0.96320 -4.81717 2.98939
2 C -2.13915 -4.46399 2.11937
3 O -3.10337 -5.19358 2.04795
4 O -2.13402 -3.29961 1.40272
5 C -0.93138 -3.05926 0.68023
6 C -1.11488 -1.88724 -0.24585
7 O -2.37343 -2.19080 -0.89270
8 S -2.80013 -1.23637 -2.14178
9 O -3.06771 -2.12492 -3.22147
10 O -1.34613 -0.51234 -2.54029
11 C -1.24334 0.73048 -1.83763
12 C -0.43199 1.69929 -2.73816
13 C 0.03557 1.00308 -3.98138
14 O -0.58865 0.86306 -5.01015
15 F 1.28618 0.52596 -3.85150
16 C -0.59561 0.62820 -0.44864
17 F 0.74607 0.34416 -0.64504
18 C -0.79005 2.00842 0.21018
19 C 0.48861 2.63478 0.78581
20 C 1.35860 3.42558 -0.20876
21 C 2.65855 2.68210 -0.51094
22 S 4.06511 3.70776 -0.97315
23 O 4.72057 3.06644 -2.06360
24 O 4.87115 3.88901 0.19170
25 Cl 3.33837 5.53031 -1.51390
26 C -1.17899 -0.49968 0.43585
27 P -0.36840 -0.30841 2.12215
28 C 1.33149 -0.99500 2.01245
29 O -1.04868 -1.38745 3.17325
30 H -1.05291 -5.86708 3.21675
31 H -0.00506 -4.68948 2.50732
32 H -0.98057 -4.28861 3.93182
33 H -0.76601 -3.92603 0.04189
34 H -0.06009 -2.97080 1.31334
35 H -0.30630 -1.93518 -0.96228
36 H -2.22865 1.16997 -1.71894
37 H 0.45538 2.02955 -2.22482
38 H -1.04674 2.54457 -2.99869
39 H -1.21690 2.70846 -0.49968
40 H -1.50844 1.93797 1.01187
41 H 0.16202 3.33820 1.54082
42 H 1.05807 1.88353 1.31265
43 H 1.64364 4.34791 0.28239
44 H 0.82861 3.71287 -1.10505
45 H 2.99537 2.13670 0.35573
46 H 2.55177 1.96511 -1.31234
47 H -2.22630 -0.26203 0.59055
48 H 1.95316 -0.43925 2.69765
49 H 1.32100 -2.02408 2.36026
50 H 1.70706 -1.01099 0.99973
51 H -1.95923 -1.12413 3.31291

Entry from OMol25: a 2-piece molecular cluster, C8H10Cl2N4 overall in a non-equilibrium geometry (the ωB97M-V functional and the def2-TZVPD basis).

Calculated values
2S+1 = 1
HOMO level = -8.57 eV
Gap between HOMO and LUMO = 8.88 eV
E_tot = -39458.69287 eV

Geometry (Å):
1 C -0.81275 -2.20750 3.23422
2 C -1.42049 -1.01526 3.17580
Here the page continues =

The purpose of a property valuation, whether it's commercial or residential, is to determine the market value. In terms of business, this process is vital for several reasons including investment analysis, financing, insurance, taxation, and more.

Accurate asset valuation ensures that all property transactions are as fair and equitable as possible for everyone involved. Here's what a commercial property assessment involves:


A professional property valuation team will prepare a set of documents including all relevant information about the building. This includes information such as its size, location, current condition, and the intended business purpose.

They will also conduct a thorough property market analysis of the local area.

Determining the Valuation Method

Next, the team will determine the best commercial valuation method. Some of the most common include:

  • The income approach: they estimate the property's value based on its ability to generate future income
  • The market approach: the team compares the current property to other similar properties in the area that have recently sold on the market. They might make adjustments based on location, size, and condition though
  • The cost approach: this is a formula used for new or unique properties that involves estimating the cost to replace the property, minus any depreciation, and the land value

Once they have determined the best valuation method, they can get a true feel for the worth of your property.

Property Site Inspection

This is a very important step in the valuation process. It's the best way to give a truly accurate valuation of what the property is worth. The valuation team will visit the commercial property and thoroughly assess its location, condition, and any unique, defining features.

They assess things like the structural condition of the building, any notable damages, or much-needed repair or maintenance. They'll take detailed notes, and photographs, and might even enlist the expertise of specialists to assist in the inspection of certain parts of the building.

[Here the article breaks off for records of molecules]
~~~
C49H34CoF15GeN3OSSb as an isolated structure at a distorted geometry. Source: the OMol25 dataset; level of theory: wB97M-V/def2-TZVPD.

energy relative to the best compared isomer or geometry (same formula, charge and spin): 117.9 kJ/mol
spin multiplicity: 2
lowest unoccupied orbital energy (spin up / spin down): 1.537 / 1.574 eV
⟨S²⟩: 0.84
net charge: -1
DFT total energy: -210160.1417 eV
frontier orbital gap (spin up / spin down): 0.21865 / 0.24239 Eh

Last column: Mulliken spin population.
Positions of all 106 atoms, in Å:
Co (-0.171, 0.783, -1.469)  0.977
C (2.455, -0.809, -1.843)  -0.006
N (1.684, 0.436, -1.936)  -0.032
C (2.263, 1.437, -2.522)  0.023
C (1.564, 2.652, -2.657)  0.007
C (1.880, 3.897, -3.227)  -0.002
C (0.743, 4.681, -3.084)  0.006
C (-0.210, 3.877, -2.429)  -0.011
N (0.283, 2.667, -2.170)  0.037
C (3.576, -0.727, -0.832)  0.001
C (4.860, -0.346, -1.209)  -0.001
C (5.870, -0.226, -0.265)  0.000
C (5.612, -0.509, 1.068)  0.000
C (4.343, -0.921, 1.447)  0.001
C (3.333, -1.025, 0.503)  0.002
H (2.881, -1.038, -2.825)  -0.002
H (1.768, -1.604, -1.563)  -0.001
H (3.267, 1.339, -2.933)  -0.001
H (2.814, 4.172, -3.694)  0.000
H (0.606, 5.704, -3.399)  0.001
H (-1.228, 4.138, -2.166)  -0.001
H (5.077, -0.152, -2.254)  0.000
H (6.866, 0.069, -0.573)  0.000
H (6.401, -0.421, 1.805)  0.000
H (4.138, -1.170, 2.482)  0.000
H (2.343, -1.364, 0.782)  -0.003
C (-0.940, -0.005, -3.257)  -0.001
C (-0.030, 0.127, -4.371)  -0.011
C (0.907, -0.878, -4.689)  0.006
C (1.768, -0.755, -5.754)  0.004
C (1.746, 0.394, -6.555)  0.001
C (0.843, 1.419, -6.238)  0.001
C (-0.024, 1.283, -5.180)  -0.005
C (2.603, 0.518, -7.682)  0.001
N (3.286, 0.626, -8.605)  0.001
H (-1.126, -1.037, -2.956)  -0.013
H (-1.854, 0.571, -3.392)  0.004
H (0.932, -1.771, -4.073)  -0.007
H (2.466, -1.549, -5.992)  0.000
H (0.845, 2.320, -6.838)  0.000
H (-0.713, 2.085, -4.944)  0.000
C (0.670, -5.413, -3.361)  0.000
Sb (-0.005, -3.988, -1.853)  0.004
C (-0.421, -5.448, -0.314)  0.000
C (-2.018, -4.062, -2.644)  0.000
H (0.129, -6.356, -3.281)  0.000
H (1.740, -5.601, -3.268)  0.000
H (0.478, -4.971, -4.340)  0.000
H (-0.802, -6.371, -0.751)  0.000
H (-1.171, -5.015, 0.348)  0.000
H (0.475, -5.658, 0.270)  0.000
H (-2.291, -5.097, -2.852)  0.000
H (-2.071, -3.483, -3.566)  0.000
H (-2.713, -3.636, -1.920)  0.000
C (-4.046, 1.237, -1.506)  0.000
C (-2.900, 1.728, -0.668)  -0.007
O (-1.810, 1.203, -0.785)  -0.012
C (-3.093, 2.766, 0.345)  -0.005
C (-4.361, 3.097, 0.834)  -0.001
C (-4.498, 4.028, 1.846)  0.001
C (-3.378, 4.656, 2.373)  -0.001
C (-2.115, 4.347, 1.882)  0.001
C (-1.971, 3.406, 0.882)  -0.009
H (-3.676, 0.477, -2.188)  0.001
H (-4.496, 2.058, -2.069)  0.000
H (-4.816, 0.792, -0.873)  0.000
H (-5.235, 2.604, 0.429)  0.000
H (-5.481, 4.264, 2.234)  0.000
H (-3.487, 5.384, 3.167)  0.000
H (-1.241, 4.836, 2.291)  0.000
H (-0.992, 3.163, 0.485)  0.009
F (-1.509, -1.463, 5.526)  0.000
C (-0.726, -2.416, 4.999)  -0.002
C (-0.202, -2.271, 3.724)  0.004
~~~

Data Analysis

After the site inspection, the team will conduct a thorough analysis of all their collected data. The analysis will also include a deep dive into market trends, comparisons of recent property sales, and analysis of the property's income potential.

Creating and Presenting the Valuation Report

The valuation team finally compiles a detailed valuation report that they will then present to all relevant parties. This report usually includes:

  • A property overview
  • A detailed summary of inspection findings, key features, and any major issues
  • A detailed explanation of the chosen valuation method
  • A comparison of similar properties on the market
  • The final valuation figure
  • A final review and verification of their findings

This valuation report is usually presented to property owners (this could be you), potential buyers (if you plan on selling), investors, and lenders.

In Need of Commercial Property Valuation?

If you're new to the world of owning commercial property, PMI Sunshine State, based in Miami, is the professional set of eyes and ears you need on hand.

Finding the right professional to conduct a commercial property valuation you can trust might seem like a daunting process. But this is where we've got you covered.

Learn more about how our property management services can help you manage your tenants and commercial property from start to finish.
